-- Friday, January 30, 2009 ♥
Sealed with a kiss @ 7:52 PM
Bored day today.... Aiya shall be a short post. Lazy post so much.
And here's my test marks.
Geography: 18/20.
English: 17/25.
So... Really need to brush up on my English. Getting worse & worse. -.- And had another Maths test today. Quite easy. (:
After school went to Compass with Malcolm, Chin Teng, Huimin, Huiling. Actually Marcus also coming. But he go home change clothes. Then want go arcade play. Called Priscilla. She said she going Compass. AHAHA. Met her. :D We go Mac eat. ^^ After that Malcolm left for the arcade with Marcus & gang. Then we walk around. Went to Montique or something. Don't know. Bought a heart shape thing. So cute. Put on bag. :D Then Chin Teng & Huimin go liao. Left me, Pris & Huiling. Go walk around. ZZZ. We go Action City. I saw one of the candy box. So cute. Above there got open. Use 2 fingers. I go press tio electric shock. AH SHIT SO SUAY, LOL. -.- The feeling so... Weird. Ah, had lots of fun la. Then we go... Mini Toons. After that to Precious Moments. See those Valentine's Day card. So cute. Lols. But very ex. D: Then we go library walk walk. Very tired. After that went home. :D

-- Thursday, January 29, 2009 ♥
Sealed with a kiss @ 4:54 PM
Hi. Ya, hi.
Very tiring day today... So uh... Let's skip everything.
After recess was.. Chinese. Yeah. After that was... Science. Ah sian la. Feel like sleeping. I don't get what Mrs Tan was saying. Then ASSEMBLY. Shit. Even boring la... Hear they repeat the same thing again on the first day of school. -.-?
Then after school. Walk to Plaza with Huiling & Vanessa Xingan Baobei. Lols. Huiling is sibei lazy. Eat also lazy. So she went home. Me & Vanessa go eat. At KFC. Ate while talking. Then saw my brother walk pass. Lols. And then there's this boy from my school also keep looking at me through the mirror reflection. -.-...? Ah never mind. Then took pic with her before she went home. And I'm back home too. (:

-- Wednesday, January 28, 2009 ♥
Sealed with a kiss @ 7:33 PM
Such a... Tired day today.
Had English in the morning. Then PE. Shit PE. Because, we did stupid warm ups again, which is pumping. AH SHIT. My knee hurts. ZZZ. Then we run around basketball court for like 5 mins, which seems to be forever. Then do pumping again. Plus stretching all that. After that. MOST EMBARASSING THING! We hop with 1 leg. -.- Shit sia. So... ZZZ. Pai seh. A lot people watching. Do finish. Then we run around school. -.-
First. Teacher say everyone must be back by 7 mins, if not one more round. LOL. I haven't even run half way alr cannot tahan liao. o.o Ok er. First round I took like 5 mins plus, which is very long. Because I was laughing, talking and walking, when I was supposed to run. LOL. Then uh. Need second round. Sian ah. See Miss Neo. Plus her lanjiao bin. She can simply spoil your mood. Aiya. Why huan lo so much. -.- Heng today she bo catch my hair. (: Then uh... We went for a second round.
Ran with Huiling, Huimin & Chin Teng, same old people. Then on the second round, we lost each other. Except for me & Chin Teng. She was running in front. But when reaching school. I chiong all the way. And came in as the 13th. Took 4 mins plus. STILL SO SLOW. -.- By that time, I was going to die alr. Headed for water-cooler. Then sat down. Back to class.
Recess. Drank Milo only. Then go back hall. Back to class. Maths. -YAWN. Can sleep liao. So sian. AH SHIT!!!!!! ME MATHS NO IMPROVE. Out of 15, I got 5. AH HOW PATHETIC CAN I BE!!! LOL. Hopeless liao. ~.~ Then... ART. AHAHAHA.
Stupid Art. WE DO SKETCHING. HOW LAME. And boring... But uh, that is 20% of CA1. Or something. I don't know. Can't be bothered. And after Art is, Chinese. Ok er. Actually, me, Chin Teng, Huiling & Malcolm plan to pon Chinese ha. LOL. But at last don't have. kk then after school. Go find some counseller. Don't know for what. She ask me lots of things. Lols. I thought I got some problems need counselling. AH SHIT. LOL. What crap. -.- kk then after that went home. TATAS. :D

-- Tuesday, January 27, 2009 ♥
Sealed with a kiss @ 6:14 PM
And hello. Boring day today.
Early in the morning, mother & father quarreling. Hard to sleep. -.- Then around 12pm plus, brother keep wake us up. Wtf. -.- Then today Mother say suppose to go Grandma house for reuinion dinner. Crap. We ended up going to Changi Airport. -.-
Firstly. I wore like.. Short pants & white tee. Then mother say cannot. Wtf is wrong? I kept changing a lot of clothes. -.- Then wore boyf tee & skinnies. THEN MOTHER SAY NOT GOING!? Angry sia. Just because, my grandpa wants to go Changi, Terminal 3. Then my brother say want take cab. Because take bus there very far. Grandpa got angry and calls everything off. I'm so pissed off. -.-
Then never mind, at last cousin's father come fetch us. Went with, Grandpa & Grandma, Mummy, Bro & his Girlf, plus cousins. SO BORED THERE. My Grandpa go there just to watch the aeroplanes land & take off. -.- So uh. I was hungry. Me, Brother & his girlf. Walk around see got what thing eat.
At last, went to Sakae. No sushi. LOL. Ok erm, I think got. Not sure. I ate... Spaghetti. $12. o.o And they both ate desserts. LOL. I see my bro girlf eat the cheese cake like eat dao very xin ku. She say it sucked. o.o Then I think we eat very long bah? We scared our Grandpa come. Cause scared he scold, we eat dao so ex. Then they really came. Cause they wanna go somewhere else. LOL. We rushed out. The whole table nearly fall. LOL WTF. LOL.
Ok er. Then headed to Terminal 2. I bought. Mcflurry & Fries first. Then bought snacks from Polar. Uh huh, then go food court eat. LOL. So I spent quite a lot today. AND I WANNA BUY NEW WALLET. ^^ AND MAKE NEW SPECS, AHAHA. :D
Ok uh. Then took cab home. Boring day today. o.o Tatas. (:
* And that person, going around using this name: "ZiHiu" , becareful ah. Because I don't think that anyone has such an ugly name huh? And if YOU are reading this, better stop what your doing. Think it's fun? Well, I don't think so. I hope you'll GET A LIFE & GROW UP, LITTLE KID. (:

-- Monday, January 26, 2009 ♥
Sealed with a kiss @ 11:03 PM
Ok er, don't mind this. Just need to make a list of those who has relinked. (:
Those that has relinked, please tag on my tagboard to inform me that you've relinked. Abo Idk ah. And those VANESSA(S), please name out which you are. Lols. Abo I get confused ha. TYVM. (:-




Chin Teng.





Next to the article, the page also holds molecular data:
~~~
Molecular formula: C3H5ClNP
Method: DFT, ωB97M-V/def2-TZVPD

Calculated values
Relative energy (zero: lowest compared OMol25 entry of this formula, charge and spin), kcal/mol: 99.4
Net charge: 0
Kohn-Sham gap (alpha / beta), Eh: 0.1995 / 0.1987
Total energy, a.u.: -973.45513
HOMO energy (alpha / beta), eV: -8.8 / -8.8

Last column: Mulliken charge in e.
Atoms and positions in Å:
1 C -3.260 2.983 0.362  -0.3640
2 C 0.043 0.252 0.449  -0.9339
3 C -0.303 -0.497 -0.797  -0.5835
4 N -2.833 1.930 0.034  -0.3571
5 P -2.124 -0.887 -0.955  0.5515
6 Cl -2.431 -2.116 0.529  -0.0587
7 H 0.341 -0.419 1.163  0.3850
8 H 0.905 0.972 0.357  0.2870
9 H -0.884 0.730 1.008  0.2270
10 H 0.182 -1.385 -0.837  0.5138
11 H -0.210 0.217 -1.580  0.3329

=====

8 unconnected molecules or ions with the total composition C19H56Cl2O22P4, computed with the ωB97M-V functional and the def2-TZVPD basis.

CARTESIAN COORDINATES (ANGSTROEM)
C -4.78 -0.33 6.01
O -3.47 0.02 6.40
P -3.04 1.55 6.49
O -3.93 2.39 7.28
O -1.57 1.31 6.99
C -0.72 2.38 7.37
O -2.91 1.98 4.98
C -2.08 1.27 4.08
H -5.51 -0.31 6.81
H -4.76 -1.36 5.65
H -5.09 0.29 5.16
H -0.52 2.30 8.44
H -1.15 3.36 7.17
H 0.22 2.26 6.82
H -2.64 0.61 3.41
H -1.42 0.54 4.58
H -1.50 1.99 3.51
C 5.25 -4.21 0.86
O 3.91 -3.78 0.66
P 2.74 -4.84 0.45
O 2.54 -5.84 1.48
O 2.97 -5.42 -0.99
C 3.04 -4.54 -2.13
O 1.53 -3.84 0.23
C 1.10 -3.04 1.32
H 5.45 -4.41 1.92
H 5.93 -3.42 0.53
H 5.46 -5.11 0.29
H 3.78 -4.98 -2.80
H 3.42 -3.56 -1.87
H 2.07 -4.55 -2.61
H 1.69 -3.21 2.22
H 0.05 -3.17 1.59
H 1.20 -2.00 1.01
C -3.92 0.30 -5.56
O -4.91 -0.08 -4.61
P -4.78 0.43 -3.12
O -5.99 0.11 -2.37
O -4.46 1.96 -3.26
C -3.22 2.61 -2.92
O -3.43 -0.18 -2.55
C -3.41 -1.52 -2.07
H -4.13 -0.24 -6.48
H -2.93 0.01 -5.19
H -3.90 1.35 -5.83
H -3.41 3.59 -2.51
H -2.64 2.70 -3.84
H -2.67 1.96 -2.24
H -3.34 -1.55 -0.99
H -2.55 -2.05 -2.49
H -4.25 -2.13 -2.41
C 7.89 -0.18 -1.28
O 6.69 0.18 -1.97
P 5.29 -0.43 -1.62
O 5.09 -1.85 -1.88
O 5.09 0.04 -0.12
C 3.93 -0.45 0.56
O 4.30 0.45 -2.47
C 4.48 1.87 -2.61
H 8.54 -0.74 -1.94
H 7.66 -0.83 -0.43
H 8.32 0.73 -0.87
H 3.62 0.17 1.40
H 4.07 -1.46 0.92
H 3.11 -0.42 -0.16
H 5.26 2.24 -1.95
H 3.53 2.36 -2.38
H 4.69 2.07 -3.66
C 0.68 -1.42 -5.03
C 0.80 -2.91 -5.17
O -0.20 -3.42 -6.03
O -0.63 -1.16 -4.48
H 0.76 -0.96 -6.02
H 1.44 -1.04 -4.34
H 0.82 -3.41 -4.20
H 1.76 -3.12 -5.65
H -1.03 -2.98 -5.80
H -0.82 -0.22 -4.57
C -0.40 0.51 0.86
C -0.99 1.03 -0.42
O -0.41 0.35 -1.53
O 1.01 0.78 0.85
H -0.53 -0.57 0.93
H -0.84 1.06 1.69
H -0.92 2.11 -0.55
H -2.06 0.77 -0.45
H -1.07 -0.07 -2.09
H 1.27 0.46 -0.03
C -0.96 5.12 1.78
C -0.19 4.68 2.98
O -0.93 4.87 4.19
O -0.32 4.62 0.60
H -1.17 6.19 1.69
H -1.97 4.68 1.87
H 0.79 5.16 3.09
H 0.06 3.62 2.98
H -0.35 5.20 4.89
H -0.71 5.12 -0.12
C -5.64 0.67 0.57
Cl -5.85 0.03 2.23
Cl -4.47 2.00 0.55
H -5.23 -0.17 0.04
H -6.58 1.06 0.21

HOMO-LUMO gap = 10.41 eV
HOMO energy = -10.415 eV
SMILES string = COP(=O)(OC)OC.COP(=O)(OC)OC.COP(=O)(OC)OC.COP(=O)(OC)OC.ClCCl.OCCO.OCCO.OCCO
~~~





























-- ♥
Sealed with a kiss @ 5:33 PM
Today, went to the other Grandma's house. Was bored ah. I LOVE MY OUTFIT. But skirt too short... Need wear tighs inside. Ok Idk how spell. And makes the whole thing look ugly. ):
Woke up at 9am plus. Changed blogskin again. (: Previous ones I did SUCKED. Ok this year's new year was........ Hai. Idk how explain. Just not as good as past few year's. Got ready and everything, headed to Grandma's house.
AhMa so good ploxzx. Reach liao ask me want eat rice or whatever. AHAH I LOVE HER. LOL. And how lame can Jonathan be. Sms me tell me, "Happy new year auntie. Ang pao please." -SLAP JON. LAME LA YOU. -.-
Ok then when reach, Uncle was there. Give red packets all this. Then more & more people came. Father, me, bro, uncles play 21 点. Lols. I won $3. Play until $3 then my father ask me stop liao. NOT FAIR. MY BROTHER WIN $30 plus! ):
And more people came. Gave red packets all that. Mother left, go temple at about 3 plus. And I wanted to go home too. I WANNA EAT PIZZA HUT. But no one bring me go. -.- So took cab home with Bro at around 3 plus also. Then brother help me order Pizza. :D
Reached SK, brother left. To other place. And I went to buy Fries from Mac. Waited for Pizza to come. Paid $15 plus. AND ENJOY THE PIZZA ALL TO MYSELF. WOOOHOOOOOOOOO. Collected a total of $100 plus from all the ang paos. :D And yesterday Kaifeng smsed me. AHA. He's the boy I saw working in Pek Kio hawker centre. No wonder look so familiar lah. LOL. He got my number from my blogshop. -.-
Okeh, endzx. :D Here's some pic. :D

........
(1)
ORCA calculation (the ωB97M-V functional and the def2-TZVPD basis) on a cluster of 3 separate species, C3H12NO in total at a distorted geometry.

```
! RIJCOSX wB97M-V def2-TZVPD def2/J DEFGRID3
* xyz 1 1
O 0.05467 -1.38388 -0.05351
N 2.14448 -0.19175 -0.90788
C 2.76809 -0.06091 0.45822
C -1.79629 1.30532 0.03200
C -2.62636 0.07090 0.03143
H -0.23189 -2.25207 0.08498
H -1.92028 -0.73223 0.34635
H -1.96545 1.76951 1.06054
H 3.32244 -0.96794 0.69146
H -0.72939 1.09009 0.03774
H -3.52726 0.04531 0.62375
H 1.97066 -0.04607 1.27299
H -2.78152 -0.23661 -1.05401
H 3.48613 0.86154 0.52765
H 1.20029 -0.57293 -0.82157
H -2.12363 2.00477 -0.76526
H 2.75531 -0.70305 -1.56489
*
```

Electronic energy ... -250.95002 Ha
Maximum force ... 0.074 hartree/bohr
LUMO level ... -10.36 eV
Energy relative to the best compared isomer or geometry (same formula, charge and spin) ... 8.7167 eV
HOMO ... -0.55703 Eh

=====

(2)
ORCA calculation (the ωB97M-V functional and the def2-TZVPD basis) on a structure of composition C6H6F3NS2 at a distorted geometry.

```
! RIJCOSX wB97M-V def2-TZVPD def2/J DEFGRID3
* xyz 0 1
S 1.24775 1.47734 -0.89207
S -0.55310 1.03346 2.43527
F -2.50987 0.09993 -1.65206
F -1.11833 1.26462 -2.87398
F -0.62043 -0.76109 -2.40353
N -0.55351 -1.57466 2.22588
C -0.50166 0.26676 0.82840
C -1.21860 0.33723 -1.93706
C 2.25221 -0.06278 -0.80742
C -0.50648 -1.11228 0.92319
C -0.36817 1.11017 -0.33167
C -0.66850 -0.63540 3.07302
H -0.72104 -0.66985 4.21203
H 2.13903 -0.64064 -1.82877
H 3.31996 0.31100 -0.67073
H -1.04732 1.96468 -0.38365
H 1.92833 -0.63950 0.07208
H -0.50028 -1.76899 0.01109
*
```

Electronic energy ... -1382.90375 Ha
Maximum force ... 0.103 hartree/bohr
LUMO level ... 0.45 eV
Energy relative to the best compared isomer or geometry (same formula, charge and spin) ... 0.1224 eV
HOMO ... -0.32485 Eh

=====

Which formula does entry 2 have?
C6H6F3NS2

----------

Computed, not measured: a cluster of 5 separate species, C7H16FN5O10 in total, with ωB97M-V/def2-TZVPD.

HOMO level: 1.52 eV
LUMO: 3.46 eV
total charge: -2
total energy: -38147.63439 eV

Cartesian coordinates (Å):
1 O 0.366 -0.163 1.143
2 C -0.117 0.969 0.753
3 O 0.146 1.332 -0.547
4 N -0.838 1.780 1.711
5 C -2.243 1.953 1.319
6 C -3.039 0.612 1.025
7 F -2.857 0.110 -0.316
8 H -2.764 2.433 2.218
9 H -2.378 2.665 0.432
10 H -4.160 0.858 1.084
11 H -2.863 -0.209 1.786
12 C 0.314 -3.456 1.239
13 N -0.942 -4.107 0.784
14 O -0.844 -5.023 -0.023
15 O -1.982 -3.686 1.245
16 H 1.151 -3.936 0.747
17 H 0.260 -2.397 0.967
18 H 0.376 -3.583 2.318
19 C -0.586 5.469 -0.151
20 N -1.784 5.879 0.617
21 O -2.169 7.044 0.541
22 O -2.280 4.992 1.263
23 H -0.211 6.327 -0.702
24 H 0.153 5.116 0.567
25 H -0.886 4.676 -0.828
26 C 3.087 -6.911 -0.816
27 N 3.066 -6.591 0.634
28 O 2.409 -5.633 0.980
29 O 3.712 -7.317 1.369
30 H 2.472 -6.185 -1.343
31 H 4.122 -6.855 -1.149
32 H 2.687 -7.916 -0.935
33 C 1.220 2.511 -2.875
34 N 1.228 3.788 -2.122
35 O 0.500 4.692 -2.513
36 O 1.957 3.847 -1.158
........
-- The article goes on --

-- Sunday, January 25, 2009 ♥
Sealed with a kiss @ 5:29 PM
Went to Grandma's house today. Was extremely bored.
Sadly, Yanyan & Jovan plus their little brother has gone before we came. How sad. Okay, actually the purpose of going to Grandma's house was to have reunion dinner. But this so called reunion dinner, is just like having a normal dinner.
Reached there at about 3-4plus. Then have... Lunch/Dinner? Idk what to call it. Just had lunch/dinner at 4plus. Felt hungry again at 5pm plus. Uncle gave me $10 go buy thing. Went with my brother. Go patrol station de 7-11 buy drinks & crackers. Then went to another shop buy sweets. Awhile more, jiu go home liaozx. (: And collected a total of about $50 plus. :D!

-- Saturday, January 24, 2009 ♥
Sealed with a kiss @ 6:25 PM
So erm... Today feeling very pissed off. Thinking of changing blogskin, blog url & blog song. I was looking for my blog song for like 2 hours plus. Just for 1 song.
First, I went to Imeem. Found it. Added it in playlist, but when in blog, is 30s de. ZZZ. Cannot find full. Then I ask people where can download. Max give me guailan answer. But thanks to him, I downloaded the song. Then uploaded it to Imeem. AND TADAAAAAAAA. Woooooo~
And this morning, Marcus insisted on buying me.... Lunch? Ok erm. At first he said he'd treat me fries. And I asked him to help me buy McChicken, I'll pay him back later. So uh, he brought it up to my house. And I insisted on paying him the McChicken money, I asked him how much, cause he came with drinks also. And so... He asked me to pay $5. And I was scolded by my brother, because I used his money. Wtfook. -.-
Another Thai girl added me in MSN, and this is what she told me, which I don't understand at all.
- ت {/zihui就是我! says (6:20 PM):
Who you?
- ت {/zihui就是我! says (6:21 PM):
B-BikE says (6:22 PM):
- ت {/zihui就是我! says (6:22 PM):
Erm. How you get my msn?
B-BikE says (6:23 PM):
- ت {/zihui就是我! says (6:23 PM):
B-BikE says (6:23 PM):
- ت {/zihui就是我! says (6:24 PM):
Who are you?
- ت {/zihui就是我! says (6:24 PM):
I don't understand Thai, I'm from Singapore.
B-BikE says (6:24 PM):
B-BikE says (6:24 PM):
- ت {/zihui就是我! says (6:24 PM):
Ok erm. Anyone understand Thai language? If you do, please tell me what she means. Cause the emotions she sent out was........ Scary.
kk, end, bye.

-- Friday, January 23, 2009 ♥
Sealed with a kiss @ 5:46 PM
Hello all. Tired day today. Ok erm... About yesterday, I'm still feeling
very depressed about it. Have wild thoughts running in my mind. Actually, wasn't really thinking too much about it. But today, it became worse. I have hallucinations, I have stupid thoughts about this & that. Feeling really very stressed... Hais...
Today, went school. Met up with Chin Teng. Have what stupid CNY celebration. Sit till ass pain. -.- From 7am plus, till 9am plus. Then 9am plus, back to class.
Science lesson. Teacher ask who want go toilet. Quite a lot go. She say give us 3 mins. Have to be back by 3 mins. Went with Huimin, Huiling & Chin Teng. So ya. By the time we were back, we late 1 min. So stand outside classroom till recess time, & I enjoy it. Don't need to listen what teacher saying. What protons electrons. Don't get a shit out of it. Stand outside classroom till recess. Disiao people, so fun.
Recess, ate with Huiling only. Chin Teng don't know go where. Then suddenly Sunny joined us. Ate, then go up hall. Listen Miss Neo talk crap again. Then back to class. History lesson, then English. Go through some things, then had a test. zzz, my English deprove liao sia... 25 marks I got 20. 40 marks I got 31. Shit sia. Need improve liao. 12.30pm, school ends.
Walked with Huiling till somewhere... Idk how say. Then she walk to bus stop, I walk home. Went home first. Then met Pris at Sk mrt. Lols, began chatting all that. Always laughing. Then go back FPPS. Everybody reached there liao, but me & Pris haven't. Marcus called me rush me. Ran to FPPS. Went up second floor. Saw a lot P6 friends. Then went in staff room find Marcus & MISS BAY. I MISS MISS BAY SO MUCH. Lmao. Go in see the teachers together with Pris, Marcus & David. Colin haven't reach. Then security guard throw all of us out. So guai lan. -.-
Got out of school with same people, then saw Colin. Woohoo. Went to Pek Kio to eat. I saw someone that look a lot like the boy that added me in Friendster. Ok didn't care much. Eat liao, go playground there slack. Took some pics.
So er. Went home at about 4pm plus. Ez-link card no money. But never mind, took MRT with Colin till Kovan then took bus home. Waited like so long for the bus. Then in the bus nearly fall. Keep move to the front. lol. Then, reached home. A boy in... Europe added me. Also search my msn through Google. Cool. :D Okay, end. :D